**Brief:**
It remains to write out everything further below verbatim.

**Excerpt:**
........
[1]
The following is a DFT calculation (wB97M-V/def2-TZVPD) of 8 unconnected molecules or ions with the total composition C21H48BF4O13P2 at a distorted geometry.

```
89
Properties=species:S:1:pos:R:3
P -2.25565 -4.85221 0.80273
P 1.47508 -4.18044 -1.72296
F -1.76575 0.09499 0.55424
F -1.74998 2.39023 0.41116
F -0.64868 1.12369 -1.21035
F 0.12996 1.34141 0.92138
O -3.52068 -4.79159 1.71081
O -2.26683 -3.56968 -0.19484
O 2.71083 5.07714 0.23315
O 1.81215 -4.97014 -3.00734
O 2.58008 -3.44421 -0.87426
O -2.47990 2.20795 -5.39566
O -1.07785 -4.86991 1.88781
O 4.80995 -0.83674 2.77479
O 0.38610 -4.68131 -0.85916
O -2.39657 -6.18940 -0.11153
O -4.78309 2.12580 4.36382
O 0.01182 4.24686 4.93605
O 1.03875 -2.81873 -2.34331
C -0.30422 -3.63406 2.07042
C 2.48265 -1.09185 2.50639
C 2.13098 5.23408 -0.91089
C -2.60290 -6.00306 -1.51015
C -3.93009 1.77792 3.50552
C -4.37582 0.98220 2.27348
C -3.32761 -2.55563 -0.16057
C -2.45392 2.03359 3.81504
C 1.16491 4.27081 -1.25936
C 2.20689 6.48554 -1.73031
C 1.13185 -6.16290 -3.44415
C -1.42534 0.28466 -4.44244
C 1.47988 5.89288 4.33023
C -0.43821 2.62823 -4.25055
C 0.74242 4.65708 4.05900
C -1.63168 1.65998 -4.78440
C 3.68790 -2.80137 -1.46352
C 0.54471 4.08821 2.59581
C 0.29313 -1.93097 -1.51736
C 3.84744 -0.59962 2.05874
C 3.92624 0.22786 0.81482
B -1.02209 1.16784 0.19067
H -0.98778 -2.67230 2.17434
H 2.59244 5.72709 4.33378
H -2.01564 -0.45091 -5.13565
H 3.47442 -2.00124 -2.07310
H -2.69788 -6.99699 -1.76207
H -2.24014 3.18828 3.61713
H -1.75213 -5.40655 -1.96913
H -3.42444 -2.41493 0.94706
H 0.26840 -1.98092 -0.39603
H -3.85003 0.03852 2.37018
H -2.22631 1.72333 4.84925
H -0.15099 3.20812 2.81793
H 1.15845 6.47589 5.23670
H -1.89110 1.43027 3.17694
H 1.62736 3.78920 -1.97338
H 3.35311 6.79251 -1.51201
H 1.09704 6.55435 3.55887
H 0.67268 -0.98616 -1.93505
H 1.04865 3.49698 -0.32342
H 0.33872 -6.23142 -2.72629
H 1.72217 -0.30912 2.36438
H 1.43045 3.48918 2.21984
H -1.82019 0.12735 -3.55874
H 4.26155 -2.31411 -0.60436
H 2.95450 0.00102 0.16559
H -5.48913 0.77073 2.28556
H 1.23661 7.18901 -1.41855
H 0.21060 -3.81653 2.99978
H -4.19332 -2.90632 -0.44768
H 0.10271 4.58173 -1.29134
H 2.20763 6.34966 -2.71616
H 0.47840 -3.62829 1.33922
H 4.24051 -3.56090 -1.87459
H -0.84984 -1.99944 -1.56133
H -0.59696 3.65767 -4.76342
H -2.94201 -1.64088 -0.71600
H -3.34772 -5.55305 -1.75077
H -0.60288 2.65106 -3.19371
H -0.33619 0.18586 -4.42826
H 4.84519 0.17568 0.36993
H 1.71383 -6.98759 -3.23048
H -4.27564 1.48157 1.23445
H 0.60090 2.20560 -4.50917
H 2.49470 -1.38286 3.61411
H 2.40342 -2.17284 2.04230
H 0.86179 -5.96072 -4.52625
H 0.23989 4.82659 1.93731
H 3.91735 1.24167 1.11933
```

Energy above the lowest of the compared OMol25 structures with the same formula, charge and spin = 18.0 kcal/mol
E_HOMO = -6.8 eV
Charge = -1
F_max = 11.1 eV Å⁻¹
Molar mass = 657.354 g mol⁻¹

***

[2]
The following is a DFT calculation (wB97M-V/def2-TZVPD) of a molecular structure, C21H48Cl28IO7P3S3Si2 at a distorted geometry.

```
113
Properties=species:S:1:pos:R:3
I 1.86168 4.33434 0.43098
Cl -1.61855 -1.83711 -7.57442
Cl 3.03035 7.23933 -4.48739
Cl 1.25129 -7.01033 4.75924
Cl 4.08334 5.23432 -9.81059
Cl 3.63710 4.39573 -4.84910
Cl -1.07382 0.28727 -5.64956
Cl -0.82025 5.67420 -2.15893
Cl 6.30338 3.39151 -10.24978
Cl -1.09208 -3.65807 -0.08918
Cl -5.70689 -6.38886 -1.77340
Cl 0.36379 -9.50377 3.52963
Cl -0.15969 4.28176 -6.94956
Cl -3.62795 2.23300 -2.32208
Cl -6.39637 -4.14436 4.71750
Cl -5.28266 4.27330 -1.04745
Cl -1.65730 -0.88208 6.96536
Cl 6.37281 -0.76515 6.83695
Cl 8.85637 -1.31693 -0.42025
Cl -7.49192 -2.36993 -1.77022
Cl -3.85093 0.90657 7.67736
Cl -8.37400 -4.85235 -3.02529
Cl -7.19351 -5.18750 0.43260
Cl 0.81907 3.60985 -3.39291
Cl -2.21449 -5.95779 1.31489
Cl 8.19948 -2.15692 2.29568
Cl 2.06502 2.44188 -7.38542
Cl -9.24914 -4.22568 4.10055
Cl 5.77631 -2.78932 4.82126
S -5.02524 -0.92034 1.79809
S 0.56247 1.15126 4.94132
S 1.42984 -0.63007 -2.09359
P 2.85933 -1.15069 2.64502
P 1.63920 2.34168 3.81329
........

**Outcome:**
[1]
The following is a DFT calculation (wB97M-V/def2-TZVPD) of 8 unconnected molecules or ions with the total composition C21H48BF4O13P2 at a distorted geometry.

```
89
Properties=species:S:1:pos:R:3
P -2.25565 -4.85221 0.80273
P 1.47508 -4.18044 -1.72296
F -1.76575 0.09499 0.55424
F -1.74998 2.39023 0.41116
F -0.64868 1.12369 -1.21035
F 0.12996 1.34141 0.92138
O -3.52068 -4.79159 1.71081
O -2.26683 -3.56968 -0.19484
O 2.71083 5.07714 0.23315
O 1.81215 -4.97014 -3.00734
O 2.58008 -3.44421 -0.87426
O -2.47990 2.20795 -5.39566
O -1.07785 -4.86991 1.88781
O 4.80995 -0.83674 2.77479
O 0.38610 -4.68131 -0.85916
O -2.39657 -6.18940 -0.11153
O -4.78309 2.12580 4.36382
O 0.01182 4.24686 4.93605
O 1.03875 -2.81873 -2.34331
C -0.30422 -3.63406 2.07042
C 2.48265 -1.09185 2.50639
C 2.13098 5.23408 -0.91089
C -2.60290 -6.00306 -1.51015
C -3.93009 1.77792 3.50552
C -4.37582 0.98220 2.27348
C -3.32761 -2.55563 -0.16057
C -2.45392 2.03359 3.81504
C 1.16491 4.27081 -1.25936
C 2.20689 6.48554 -1.73031
C 1.13185 -6.16290 -3.44415
C -1.42534 0.28466 -4.44244
C 1.47988 5.89288 4.33023
C -0.43821 2.62823 -4.25055
C 0.74242 4.65708 4.05900
C -1.63168 1.65998 -4.78440
C 3.68790 -2.80137 -1.46352
C 0.54471 4.08821 2.59581
C 0.29313 -1.93097 -1.51736
C 3.84744 -0.59962 2.05874
C 3.92624 0.22786 0.81482
B -1.02209 1.16784 0.19067
H -0.98778 -2.67230 2.17434
H 2.59244 5.72709 4.33378
H -2.01564 -0.45091 -5.13565
H 3.47442 -2.00124 -2.07310
H -2.69788 -6.99699 -1.76207
H -2.24014 3.18828 3.61713
H -1.75213 -5.40655 -1.96913
H -3.42444 -2.41493 0.94706
H 0.26840 -1.98092 -0.39603
H -3.85003 0.03852 2.37018
H -2.22631 1.72333 4.84925
H -0.15099 3.20812 2.81793
H 1.15845 6.47589 5.23670
H -1.89110 1.43027 3.17694
H 1.62736 3.78920 -1.97338
H 3.35311 6.79251 -1.51201
H 1.09704 6.55435 3.55887
H 0.67268 -0.98616 -1.93505
H 1.04865 3.49698 -0.32342
H 0.33872 -6.23142 -2.72629
H 1.72217 -0.30912 2.36438
H 1.43045 3.48918 2.21984
H -1.82019 0.12735 -3.55874
H 4.26155 -2.31411 -0.60436
H 2.95450 0.00102 0.16559
H -5.48913 0.77073 2.28556
H 1.23661 7.18901 -1.41855
H 0.21060 -3.81653 2.99978
H -4.19332 -2.90632 -0.44768
H 0.10271 4.58173 -1.29134
H 2.20763 6.34966 -2.71616
H 0.47840 -3.62829 1.33922
H 4.24051 -3.56090 -1.87459
H -0.84984 -1.99944 -1.56133
H -0.59696 3.65767 -4.76342
H -2.94201 -1.64088 -0.71600
H -3.34772 -5.55305 -1.75077
H -0.60288 2.65106 -3.19371
H -0.33619 0.18586 -4.42826
H 4.84519 0.17568 0.36993
H 1.71383 -6.98759 -3.23048
H -4.27564 1.48157 1.23445
H 0.60090 2.20560 -4.50917
H 2.49470 -1.38286 3.61411
H 2.40342 -2.17284 2.04230
H 0.86179 -5.96072 -4.52625
H 0.23989 4.82659 1.93731
H 3.91735 1.24167 1.11933
```

Energy above the lowest of the compared OMol25 structures with the same formula, charge and spin = 18.0 kcal/mol
E_HOMO = -6.8 eV
Charge = -1
F_max = 11.1 eV Å⁻¹
Molar mass = 657.354 g mol⁻¹

***

[2]
The following is a DFT calculation (wB97M-V/def2-TZVPD) of a molecular structure, C21H48Cl28IO7P3S3Si2 at a distorted geometry.

```
113
Properties=species:S:1:pos:R:3
I 1.86168 4.33434 0.43098
Cl -1.61855 -1.83711 -7.57442
Cl 3.03035 7.23933 -4.48739
Cl 1.25129 -7.01033 4.75924
Cl 4.08334 5.23432 -9.81059
Cl 3.63710 4.39573 -4.84910
Cl -1.07382 0.28727 -5.64956
Cl -0.82025 5.67420 -2.15893
Cl 6.30338 3.39151 -10.24978
Cl -1.09208 -3.65807 -0.08918
Cl -5.70689 -6.38886 -1.77340
Cl 0.36379 -9.50377 3.52963
Cl -0.15969 4.28176 -6.94956
Cl -3.62795 2.23300 -2.32208
Cl -6.39637 -4.14436 4.71750
Cl -5.28266 4.27330 -1.04745
Cl -1.65730 -0.88208 6.96536
Cl 6.37281 -0.76515 6.83695
Cl 8.85637 -1.31693 -0.42025
Cl -7.49192 -2.36993 -1.77022
Cl -3.85093 0.90657 7.67736
Cl -8.37400 -4.85235 -3.02529
Cl -7.19351 -5.18750 0.43260
Cl 0.81907 3.60985 -3.39291
Cl -2.21449 -5.95779 1.31489
Cl 8.19948 -2.15692 2.29568
Cl 2.06502 2.44188 -7.38542
Cl -9.24914 -4.22568 4.10055
Cl 5.77631 -2.78932 4.82126
S -5.02524 -0.92034 1.79809
S 0.56247 1.15126 4.94132
S 1.42984 -0.63007 -2.09359
P 2.85933 -1.15069 2.64502
P 1.63920 2.34168 3.81329